Star Trek: Deep Space Nine reviews — season 6

[Crystal structures, as found in the file]
/*
A plane-wave DFT calculation with PBE with a Hubbard U was carried out for crystalline LiMnF3 at its relaxed geometry.

a = 5.035 Å, b = 8.903 Å, c = 10.775 Å
α = 90.00°, β = 90.00°, γ = 90.00°
Element x y z (fractional)
Mn1 0.495 0.086 0.638
Mn2 0.495 0.414 0.138
Mn3 0.995 0.914 0.862
Mn4 0.995 0.586 0.362
Mn5 0.505 0.586 0.862
Mn6 0.005 0.086 0.138
Mn7 0.005 0.414 0.638
Mn8 0.505 0.914 0.362
F1 0.250 0.250 0.724
F2 0.694 0.902 0.545
F3 0.694 0.598 0.045
F4 0.250 0.250 0.224
F5 0.250 0.750 0.458
F6 0.750 0.750 0.276
F7 0.194 0.098 0.955
F8 0.750 0.250 0.542
F9 0.778 0.087 0.304
F10 0.806 0.598 0.545
F11 0.722 0.413 0.304
F12 0.306 0.098 0.455
F13 0.806 0.902 0.045
F14 0.194 0.402 0.455
F15 0.222 0.587 0.196
F16 0.222 0.913 0.696
F17 0.722 0.087 0.804
F18 0.750 0.750 0.776
F19 0.778 0.413 0.804
F20 0.278 0.587 0.696
F21 0.278 0.913 0.196
F22 0.306 0.402 0.955
F23 0.750 0.250 0.042
F24 0.250 0.750 0.958
Li1 0.003 0.214 0.401
Li2 0.497 0.286 0.401
Li3 0.503 0.786 0.099
Li4 0.997 0.714 0.099
Li5 0.003 0.286 0.901
Li6 0.997 0.786 0.599
Li7 0.497 0.214 0.901
Li8 0.503 0.714 0.599

## Properties
The space group is Pccn (56). For the total DFT energy (no corrections), the calculation gives -5.7764 eV/atom. As for the formation energy: -3.02 eV per atom. The distance to the lowest polymorph of the same formula is 0.000 eV per atom.

A plane-wave DFT calculation with PBE with a Hubbard U was carried out for crystalline Li2MnF6 at its relaxed geometry.

a = 4.667 Å, b = 4.667 Å, c = 8.924 Å
α = 90.00°, β = 90.00°, γ = 90.00°
Element x y z (fractional)
Mn1 0.500 0.500 0.500
Mn2 0.000 0.000 0.000
F1 0.810 0.190 0.848
F2 0.220 0.780 0.500
F3 0.690 0.690 0.652
F4 0.780 0.220 0.500
F5 0.810 0.190 0.152
F6 0.690 0.690 0.348
F7 0.720 0.720 0.000
F8 0.310 0.310 0.348
F9 0.310 0.310 0.652
F10 0.190 0.810 0.152
F11 0.280 0.280 0.000
F12 0.190 0.810 0.848
Li1 0.500 0.500 0.163
Li2 0.500 0.500 0.837
Li3 0.000 0.000 0.337
Li4 0.000 0.000 0.663

## Properties
The space group is P4_2/mnm (136). For the total DFT energy (no corrections), the calculation gives -5.0909 eV/atom. As for the formation energy: -2.87 eV per atom. The distance to the lowest polymorph of the same formula is 0.000 eV per atom.

A plane-wave DFT calculation with PBE with a Hubbard U was carried out for crystalline LiMnF3 at its relaxed geometry.

a = 5.647 Å, b = 5.967 Å, c = 8.759 Å
α = 90.00°, β = 90.00°, γ = 90.00°
Element x y z (fractional)
Mn1 0.000 0.500 0.000
Mn2 0.500 0.000 0.500
Mn3 0.000 0.500 0.500
Mn4 0.500 0.000 0.000
F1 0.187 0.191 0.532
F2 0.187 0.191 0.968
F3 0.813 0.809 0.032
F4 0.962 0.511 0.250
F5 0.538 0.011 0.250
F6 0.313 0.691 0.532
F7 0.462 0.989 0.750
F8 0.687 0.309 0.468
F9 0.687 0.309 0.032
F10 0.813 0.809 0.468
F11 0.038 0.489 0.750
F12 0.313 0.691 0.968
Li1 0.823 0.817 0.250
Li2 0.177 0.183 0.750
Li3 0.677 0.317 0.250
Li4 0.323 0.683 0.750

## Properties
*/
[So much for the crystal structures]

Star Trek: Deep Space Nine — 6x09 — Statistical Probabilities


With the secret of his genetically-engineered past out in the open, Bashir is asked to work with a group of others like him.

Filler rating: not filler

### Someone pasted records of crystals at this point
<<<
1.
# CaNi4B, optimized geometry, DFT GGA-PBE
# DFT formation energy, meV per atom: -304
data_CaNi4B
_chemical_formula_sum 'Ca2 Ni8 B2'
_symmetry_space_group_name_H-M 'P 6/m m m'
_symmetry_Int_Tables_number 191
_symmetry_space_group_name_Hall '-P 6 2'
_cell_length_a 5.0380
_cell_length_b 5.0380
_cell_length_c 6.8300
_cell_angle_alpha 90.00
_cell_angle_beta 90.00
_cell_angle_gamma 120.00
loop_
_atom_site_label
_atom_site_fract_x
_atom_site_fract_y
_atom_site_fract_z
Ca1 0.0000 0.0000 0.0000
Ca2 0.0000 0.0000 0.5000
Ni1 0.0000 0.5000 0.2047
Ni2 0.3333 0.6667 0.5000
B1 0.3333 0.6667 0.0000



2.
# Ca5Ni15B4, optimized geometry, DFT GGA-PBE
# DFT formation energy, meV per atom: -326
data_Ca5Ni15B4
_chemical_formula_sum 'Ca10 Ni30 B8'
_symmetry_space_group_name_H-M 'P 63/m m c'
_symmetry_Int_Tables_number 194
_symmetry_space_group_name_Hall '-P 6c 2c'
_cell_length_a 5.0844
_cell_length_b 5.0844
_cell_length_c 27.8318
_cell_angle_alpha 90.00
_cell_angle_beta 90.00
_cell_angle_gamma 120.00
loop_
_atom_site_label
_atom_site_fract_x
_atom_site_fract_y
_atom_site_fract_z
Ca1 0.3333 0.6667 0.0186
Ca2 0.3333 0.6667 0.1313
Ca3 0.3333 0.6667 0.2500
Ni1 0.0000 0.0000 0.0000
Ni2 0.0000 0.0000 0.2500
Ni3 0.1644 0.3287 0.5779
Ni4 0.1672 0.3343 0.6776
Ni5 0.3333 0.6667 0.7500
B1 0.0000 0.0000 0.1282
B2 0.3333 0.6667 0.6267

~~~~~

Record 1
{
  "formula": "Ti15NbO32",
  "functional": "PBE",
  "state": "optimized geometry",
  "vol_a3_per_atom": 11.8,
  "e_tot_ev_per_atom": -8.98,
  "delta_e_f_ev_per_atom": -3.46,
  "spacegroup": "P-4m2 (115)",
  "lattice_angstrom": [[7.6462, 0.0000, 0.0000], [0.0000, 7.6462, 0.0000], [0.0000, 0.0000, 9.6939]],
  "species": ["Ti", "Ti", "Ti", "Ti", "Ti", "Ti", "Ti", "Ti", "Ti", "Ti", "Ti", "Ti", "Ti", "Ti", "Ti", "Nb", "O", "O", "O", "O", "O", "O", "O", "O", "O", "O", "O", "O", "O", "O", "O", "O", "O", "O", "O", "O", "O", "O", "O", "O", "O", "O", "O", "O", "O", "O", "O", "O"],
>>>

This is the first episode in which we see Damar in his new position. It also introduces Bashir's "mutant" friends who will recur later and their various predictions about the war has some intriguingly accurate foreshadowing; some of it is correct, though not all of it.

=====
Compound: Sm3B13O29
Source: Materials Project
Functional: PBE
Structure: relaxed

```
Sm3B13O29
1.0
-3.894 5.103 -0.656
8.364 6.001 -2.969
-9.171 -10.542 -27.555
O B Sm
116 52 12
Direct
0.125 0.678 0.008
0.578 0.406 0.968
0.070 0.312 0.581
0.435 0.830 0.974
0.701 0.562 0.260
0.310 0.434 0.892
0.486 0.915 0.687
0.946 0.827 0.763
0.070 0.688 0.919
0.435 0.170 0.526
0.188 0.805 0.702
0.225 0.936 0.016
0.172 0.137 0.306
0.486 0.085 0.813
0.661 0.504 0.823
0.156 0.014 0.835
0.339 0.496 0.177
0.571 0.702 0.699
0.339 0.504 0.323
0.831 0.605 0.043
0.841 0.177 0.471
0.324 0.272 0.159
0.227 0.069 0.413
0.429 0.298 0.301
0.665 0.671 0.364
0.225 0.064 0.484
0.831 0.395 0.457
0.310 0.566 0.608
0.213 0.994 0.587
0.665 0.329 0.136
0.565 0.830 0.474
0.661 0.496 0.677
0.324 0.728 0.341
0.125 0.322 0.492
0.054 0.173 0.237
0.172 0.863 0.194
0.787 0.994 0.087
0.844 0.986 0.165
0.435 0.114 0.642
0.382 0.875 0.258
0.578 0.594 0.532
0.930 0.312 0.081
0.274 0.606 0.397
0.690 0.434 0.392
0.188 0.195 0.798
0.565 0.170 0.026
0.828 0.137 0.806
0.422 0.594 0.032
0.565 0.886 0.358
0.797 0.649 0.970
0.065 0.350 0.299
0.226 0.265 0.414
0.169 0.605 0.543
0.213 0.006 0.913
0.773 0.069 0.913
0.068 0.168 0.636
0.740 0.218 0.400
0.726 0.394 0.603
0.335 0.671 0.864
0.299 0.562 0.760
0.203 0.649 0.470
0.260 0.782 0.600
0.156 0.986 0.665
0.274 0.394 0.103
0.159 0.823 0.529
0.875 0.678 0.508
0.875 0.322 0.992
0.935 0.650 0.701
0.054 0.827 0.263
0.844 0.014 0.335
0.773 0.931 0.587
0.203 0.351 0.030
0.068 0.832 0.864
0.514 0.915 0.187
0.006 0.393 0.158
0.159 0.177 0.971
0.812 0.195 0.298
0.797 0.351 0.530
0.571 0.298 0.801
0.690 0.566 0.108
0.787 0.006 0.413
0.841 0.823 0.029
0.422 0.406 0.468
0.946 0.173 0.737
0.726 0.606 0.897
0.935 0.350 0.799
0.740 0.782 0.100
0.775 0.064 0.984
0.435 0.886 0.858
0.514 0.085 0.313
0.299 0.438 0.740
0.932 0.832 0.364
0.169 0.395 0.957
0.676 0.728 0.841
0.994 0.607 0.842
0.618 0.125 0.742
0.065 0.650 0.201
0.382 0.125 0.242
0.774 0.265 0.914
0.774 0.735 0.586
0.812 0.805 0.202
0.335 0.329 0.636
0.260 0.218 0.900
0.226 0.735 0.086
0.565 0.114 0.142
0.994 0.393 0.658
0.006 0.607 0.342
0.618 0.875 0.758
0.676 0.272 0.659
0.429 0.702 0.199
0.932 0.168 0.136
0.227 0.931 0.087
0.775 0.936 0.516
0.828 0.863 0.694
0.701 0.438 0.240
0.930 0.688 0.419
0.890 0.295 0.128
0.110 0.705 0.872
0.127 0.350 0.071
0.873 0.350 0.571
0.257 0.672 0.044
0.247 0.654 0.584
0.753 0.654 0.084
0.896 0.692 0.013
0.777 0.935 0.368
0.228 0.609 0.350
0.228 0.391 0.150
0.726 0.098 0.317
0.247 0.346 0.916
0.772 0.609 0.850
0.726 0.902 0.183
0.110 0.295 0.628
0.523 0.240 0.145
0.477 0.240 0.645
0.620 0.160 0.790
0.753 0.346 0.416
0.791 0.132 0.428
0.269 0.615 0.192
0.777 0.065 0.132
0.380 0.840 0.210
0.209 0.132 0.928
0.743 0.672 0.544
0.209 0.868 0.572
0.257 0.328 0.456
0.791 0.868 0.072
0.976 0.793 0.716
0.024 0.793 0.216
0.976 0.207 0.784
0.274 0.902 0.683
0.024 0.207 0.284
0.731 0.385 0.808
0.620 0.840 0.710
0.477 0.760 0.855
0.223 0.935 0.868
0.772 0.391 0.650
0.274 0.098 0.817
=====

Remarkable scenes

  • The opening scene. I especially liked Jack.
  • Bashir meeting the "mutants." I especially like Jack's "test" of Bashir's mental abilities.
  • Bashir discussing the "mutants" with the senior staff and the debate that ensued.
  • Jack: "Well why don't you fix it, dear fellow, dear fellow, well why don't you fix it before I go mad!"
  • The "mutants" inferring all kinds of correct information just from Damar's speech.
  • Patrick staring into Weyoun. Hilarious if you don't know it's all holographic on first viewing.
  • Bashir presenting his and the mutants' predictions and analyses to Sisko.
  • The whole dancing scene.
  • According to Jack, O'Brien is "uncomplicated."
  • Sisko's reaction to Bashir's suggestion that the Federation should surrender to the Dominion because there's no hope of winning.
  • Patrick walking up to a random person and saying, "I'm Patrick!"
  • Weyoun: "Odo!" Odo: "Yes, I know, I honor you with my presence."
  • Morn Appearances; 1. Behind O'Brien in the bar when Bashir tries to convince O'Brien that the Federation should surrender.


This is a great episode with a remarkable set of new guest stars. A group of four genetically engineered "mutants" with mental disorders from their genetic background are taken to the station in the hopes that Dr. Bashir can help them assimilate better into society. Together, the five start working for Starfleet Intelligence, making grandiose predictions about the Dominion. As the episode progresses, their predictions get more and more grandiose to the point where they predict the Federation can never beat the Dominion. In the end, Bashir convinces them that their assumptions might have been flawed, and that they can't predict everything. The experience, however, leaves them feeling like they've finally contributed something, as some of their analyses were very useful to Starfleet. Most remarkable about the episode though was the characters. First there's Jack, an energetic, athletic, egocentric, super smart, fast talking guy unstable guy who seemed unable to control his behavior. Then there's Lauren, who seems to be sexually attracted to every man she sees... to the extreme; unable to think of anything else. Then there's Patrick. An old man who still acts like a child. And finally, Sarina, who seems unable to focus her attention on anything. She just stands and stares. All things considered, this is one of the most original and entertaining episodes I've seen in a long time.